Rper's on justice?




unfortunatly i was unaware that virtue was the unoficial rp server when i started the game, and i started my char on justice. Im now level 9, and dont feel like starting over, i hear theres few rpers opn virtue anyways. i just wanted to know if there is any other rpers on justice, if so please tell me, and we can team up, or start an sg.



Next to the page, the page also holds molecular data:
........
ORCA calculation (wB97M-V/def2-TZVPD) on 10 unconnected molecules or ions with the total composition C63H93F4N16O12S4 at a distorted geometry.

Charge: +6
Highest occupied orbital energy: -18.5 eV
Kohn-Sham gap: 5.000 eV
LUMO level: -0.49700 Eh
E_tot: -169387.739 eV
Spin multiplicity: 2

Last column: Löwdin spin population.
Geometry (Å):
C -9.9172 -0.3770 -1.2344  0.00
C -9.1408 0.3202 -0.1637  0.03
C -9.9220 -0.1272 1.1351  0.01
C -9.0933 -0.0571 2.4823  0.00
C -7.6187 0.4810 2.2636  0.00
C -6.8548 -0.0002 1.0695  0.03
N -7.7822 -0.2467 -0.0569  0.42
O -7.1113 -0.7216 -1.2930  0.46
C -6.1252 -1.2391 1.6157  0.01
C -5.8344 1.0871 0.8208  0.02
C -9.0571 1.8753 -0.2738  0.02
H -9.6337 0.0268 -2.2064  0.00
H -10.9963 -0.2529 -1.1443  0.00
H -9.6920 -1.4379 -1.3441  0.00
H -10.3140 -1.1366 1.0107  0.00
H -10.7540 0.5655 1.2614  0.00
H -8.9463 -0.9545 3.0832  0.00
H -9.6541 0.5495 3.1934  0.00
H -7.0893 0.2334 3.1837  0.00
H -7.6961 1.5677 2.2964  0.00
H -5.7480 -1.7752 0.7449  0.00
H -6.8656 -1.8930 2.0766  0.00
H -5.2925 -0.9527 2.2581  0.00
H -5.2008 0.8704 -0.0393  0.00
H -5.2036 1.2566 1.6934  0.00
H -6.2155 2.0952 0.6578  0.00
H -8.3431 2.1164 -1.0613  0.00
H -8.5668 2.3136 0.5954  0.00
H -10.0383 2.3119 -0.4600  0.00
C -12.6492 2.5715 -2.7109  0.00
C -13.9513 2.1270 -2.0492  0.00
N -13.8105 1.7509 -0.6231  0.00
C -13.6150 2.5971 0.4089  0.00
C -13.5824 1.8552 1.5774  0.00
N -13.7070 0.4929 1.2604  0.00
C -13.8967 0.4403 -0.1397  0.00
C -13.7453 -0.5987 2.2491  0.00
H -11.8647 1.8353 -2.5352  0.00
H -12.3829 3.4922 -2.1918  0.00
H -12.6523 2.7901 -3.7787  0.00
H -14.3065 1.2687 -2.6195  0.00
H -14.7609 2.8543 -2.1097  0.00
H -13.4764 3.6586 0.2655  0.00
H -13.4758 2.3794 2.5156  0.00
H -14.0453 -0.4888 -0.6699  0.00
H -12.9324 -1.3115 2.1104  0.00
H -14.6474 -1.1882 2.0848  0.00
H -13.6248 -0.2288 3.2673  0.00
C -11.7521 8.6917 2.2643  0.00
C -12.3761 7.4553 1.5234  0.00
N -11.4530 6.3496 1.4763  0.00
C -10.5582 6.1709 0.4896  0.00
C -9.8251 5.0057 0.8198  0.00
N -10.4305 4.4890 1.9176  0.00
C -11.4160 5.2879 2.3190  0.00
C -9.9334 3.3421 2.6530  0.00
H -12.4017 9.5593 2.3804  0.00
H -10.8810 8.8841 1.6380  0.00
H -11.5110 8.3393 3.2672  0.00
H -12.5739 7.8931 0.5449  0.00
H -13.3381 7.0522 1.8398  0.00
H -10.4392 6.9462 -0.2528  0.00
H -8.9109 4.5880 0.4245  0.00
H -12.0334 5.1553 3.1952  0.00
H -10.3532 2.4536 2.1814  0.00
H -10.3287 3.3541 3.6688  0.00
H -8.8468 3.3632 2.7359  0.00
C -7.1271 1.6491 7.3781  0.00
C -6.5441 1.3509 6.0198  0.00
N -6.5268 -0.0417 5.6635  0.00
C -5.3369 -0.8064 5.4964  0.00
C -5.7971 -2.1448 5.1916  0.00
N -7.1757 -2.1816 5.3018  0.00
C -7.6346 -0.8988 5.6202  0.00
C -8.0226 -3.3529 5.2076  0.00
H -7.0167 2.6942 7.6674  0.00
H -6.6670 1.0652 8.1752  0.00
H -8.2156 1.5980 7.4042  0.00
H -5.4862 1.6131 6.0240  0.00
H -7.0448 1.9257 5.2407  0.00
H -4.3642 -0.3546 5.3691  0.00
H -5.2899 -3.0664 4.9473  0.00
H -8.6564 -0.5895 5.7836  0.00
H -7.3736 -4.2269 5.2635  0.00
H -8.6008 -3.2255 4.2924  0.00
........

Having just arrived In Paragon City, Star_Justice takes a look around. Getting himself orientied, and after a mild recovery in the Hospital after the invasion he returns back to action. I hope they got my apartment finished, he wonders, as He once agains hears a cry for Help comming from a near by alley.
"Time to weigh in for Justice!" he crys as he races to the aid of.....

Hello there are a few of us, Look for Star_Justice, I'm always looking to do a 2 in 1 team-up, I'm a 6th level Science Tanker.

by Star Ranger 4
WE ARE HEROES This is what we DO!
When you wake up seek the courage and strength to do the right thing.
Decide that this will be another day in which you Walk The Talk.

MA #14724 Operation: Discredit @American Valor
Sentinel Of Liberty SG



All of my characters are on Justice, and I love to role play. I am currently only 6th level, but part time grouping might be a good lession for me.



If you catch the WarWolf's scent on Justice he shall run with your pack. He only asks that you turn your head after defeating any 5th Col. He treats them..differently.

(On Virtue he's actually KnightWolf too..no space. But I've got more friends on Justice so made a clone. WW's only 6th also right now, If you're on he may track you down)



not many but its something, ill send you all tells ingame. thanks for the replys.



on another note, would you all be interested in joining a sg if i start one?



Look for any member of the Sg "The Guardians" we all rp. If you want a direct contact message one of the following :

Sky Ranger
Crime Buster
Silver Sabre

Those are my three primary characters.



____________
(1)
ORCA calculation (the ωB97M-V functional and the def2-TZVPD basis) on C46H48N3P2PtSi2 as an isolated structure at a distorted geometry.

The value obtained for the molar mass is 956.1 g/mol. As for the spin multiplicity: 1. Its frontier orbital gap is 0.1946 Ha. The calculation puts the total energy at -90535.958 eV. As for the max |F|: 0.0424 hartree/bohr. Its charge is -1.

Atoms and positions in Å:
Pt 0.71118 -0.13586 -0.80789
C 1.52399 4.46975 -0.29298
Si 0.01619 3.67716 -1.12420
C 0.36059 3.40278 -2.96119
C -1.40465 4.95450 -1.06665
N -0.29844 2.15840 -0.43018
P -1.01230 1.52257 0.84460
C -0.35401 -0.03543 1.11520
P -0.90410 -1.62488 0.86757
N -0.62363 -2.07297 -0.66179
Si -0.19451 -3.57433 -1.38510
C 0.32545 -5.02275 -0.25989
C -1.68239 -4.18930 -2.38673
C 1.27614 -3.34996 -2.55211
C -2.58120 -2.25051 1.26817
C -2.79269 -3.62823 1.32101
C -4.07471 -4.13995 1.43005
C -5.16573 -3.28041 1.48359
C -4.96434 -1.90988 1.43121
C -3.67800 -1.39805 1.32519
C 0.17730 -2.55780 2.02331
C -0.23861 -3.06816 3.24863
C 0.67449 -3.66307 4.10968
C 2.01482 -3.73591 3.76145
C 2.44200 -3.22035 2.54346
C 1.52789 -2.64395 1.67728
C -2.81396 1.78014 0.63861
C -3.68385 2.21579 1.63191
C -5.02762 2.41593 1.33950
C -5.51090 2.16356 0.06463
C -4.64792 1.71447 -0.92904
C -3.30569 1.53088 -0.64355
C -0.60896 2.54824 2.31489
C -0.96565 3.89835 2.32444
C -0.47029 4.75416 3.29478
C 0.39304 4.26919 4.26967
C 0.73340 2.92447 4.28191
C 0.23420 2.06730 3.30846
H 1.82523 5.39988 -0.78573
H 2.36719 3.77434 -0.32271
H 1.31370 4.68755 0.75662
H 0.46712 4.35104 -3.49789
H -0.45431 2.83771 -3.41853
H 1.27485 2.82421 -3.10436
H -1.34411 5.60924 -1.94099
H -1.35955 5.59083 -0.17879
H -2.38395 4.46792 -1.08101
H -0.29357 -5.14620 0.63068
H 1.35436 -4.90248 0.08414
H 0.26572 -5.95012 -0.83739
H -2.54742 -4.36707 -1.74265
H -1.44567 -5.11998 -2.91232
H -1.96636 -3.44102 -3.13023
H 2.02864 -2.70224 -2.09915
H 0.96808 -2.88399 -3.49049
H 1.74370 -4.31224 -2.78714
H -1.94222 -4.29550 1.26754
H -4.22524 -5.21263 1.46048
H -6.16860 -3.68261 1.56136
H -5.80999 -1.23301 1.46129
H -3.52025 -0.32894 1.28304
H -1.28213 -2.98754 3.52990
H 0.34121 -4.06740 5.05852
H 2.72312 -4.19684 4.44008
H 3.49170 -3.26658 2.27661
H 1.84293 -2.24840 0.71779
H -3.31204 2.40000 2.63240
H -5.69790 2.77907 2.10990
H -6.55986 2.31899 -0.15766
H -5.02449 1.52029 -1.92600
H -2.60596 1.20741 -1.40597
H -1.62744 4.27222 1.55176
H -0.73776 5.80465 3.28307
H 0.80357 4.94262 5.01285
H 1.39955 2.54688 5.04904
H 0.49762 1.01496 3.30131
C -0.36876 -0.25142 -4.93508
C 0.85092 -0.05390 -5.57747
C 2.00966 0.11071 -4.84120
C 1.95749 0.06542 -3.44648
C 0.72828 -0.14024 -2.79453
C -0.42822 -0.28577 -3.54597
C 3.08247 0.20176 -2.54745
C 4.43831 0.18807 -2.91339
C 5.41718 0.23187 -1.96441
C 5.05972 0.32729 -0.60131
C 6.00309 0.36977 0.43990
C 5.60093 0.49540 1.74716
C 4.23762 0.60411 2.05347
C 3.28946 0.55527 1.06053
C 3.67520 0.38613 -0.28320
N 2.71927 0.29497 -1.25459
H -1.27331 -0.38124 -5.51803
H 0.89499 -0.02867 -6.66001
____________

I am with you on the 5th Col guys, those guys should be hunted down with a pack of Wolves. I will add you to my friends list if you don't mind?



One of the biggest things that attracted me to CoH is the possibilities for Role-Playing. I am also on Justice.

Armaiti, Exemplar of Devotion has sworn her life to Hunting those who would manipulate the arcane for subjugate and manipulate the masses.



What level is your Sorcerer, it would be good to have a few more team playing RPer's around.



Hi I also have a Lvl 6 character on Justice and i am very interested in rp, my character is Atomic Marvel, please message me ingame and we can team up. I would love to join a SG when I am lvl 10 too.



WarWolf ran with Atomic Marvel yesterday... a very classic combination of completely opposite personalities dedicated to a singular cause, good fun! I've placed everyone who gave their character names on my friends list and look forward to running with you sometime!



Indeed running with Warwolf was alot of fun, I look forward to the next time that The Atomic Marvel and Warwolf are out fighting crime together.



Please add me to your list of RPers on Justice. I've only been playing for a few days now and have been soloing mostly, but I hope to find some RPers to group with and eventually form a supergroup with. I'm a level 6 blaster.



Sorry I had to bail on you in the park the other day, RL can really get in the way. I am on a 5th column mission and could really use some help if you have time this week. I ask because I know you share my disdain for these goose stepping goons. We should start a Wolf Pack and hunt down this group to their highest levels.

# Calculated molecules, kept here for reference
# 1
ORCA calculation (ωB97M-V/def2-TZVPD) on H5NO3SSi as an isolated structure in a non-equilibrium geometry.

Positions of all 11 atoms, in Å:
N -1.520 -1.686 0.878
O 1.042 -1.367 1.229
O 0.149 -2.598 -0.747
O -0.100 -0.072 -0.494
Si 0.978 1.150 -0.068
S 0.060 -1.484 0.191
H -1.497 -2.350 1.554
H -2.084 -2.115 0.024
H 2.225 0.590 -0.080
H 0.841 2.399 -0.825
H 0.670 1.358 1.272

Calculated values
Kohn-Sham gap = 11.33 eV
LUMO energy = 0.0183 Eh
Calculated total energy = -971.13457 Eh
Charge = 0

Atomic partial charges in e from the Löwdin method, atoms 1 to 4: -0.06, -0.32, -0.30, -0.44

# 2
ORCA calculation (ωB97M-V/def2-TZVPD) on a 2-piece molecular cluster, H5NOSSi overall in a non-equilibrium geometry.

Positions of all 9 atoms, in Å:
N -1.787 -0.302 0.139
O 0.703 1.694 0.847
Si 1.008 0.596 -0.346
S 2.568 -0.729 0.369
H -1.753 -1.269 0.469
H -1.868 0.205 1.026
H -0.223 1.841 1.164
H 1.426 1.201 -1.600
H 2.877 0.209 1.455

Calculated values
Kohn-Sham gap (alpha / beta) = 7.01 / 7.02 eV
LUMO energy (alpha / beta) = -0.0455 / -0.0455 Eh
Calculated total energy = -820.60322 Eh
Charge = 0

Atomic partial charges in e from the Löwdin method, atoms 1 to 4: -0.10, -0.31, 0.39, 0.34

Look up the charge of the first one.
0

Which formula does entry 2 have?
H5NOSSi


(1)
C25H46ClF2N5O14SSi | ωB97M-V with the def2-TZVPD basis set

HOMO = -9.22 eV
HOMO-LUMO gap = 8.910 eV
Lowest unoccupied orbital energy = -0.311 eV
Structure (SMILES) = CCCCCCC[C@@]1(Cl)OS(=O)(=O)O[C@H]1C(F)(F)CC[Si](C)(C)c1ccccc1.C[N+](=O)[O-].C[N+](=O)[O-].C[N+](=O)[O-].C[N+](=O)[O-].C[N+](=O)[O-]
M = 774.266 g mol⁻¹

Geometry as ORCA input:
```
! RIJCOSX wB97M-V def2-TZVPD def2/J DEFGRID3
* xyz 0 1
C -4.44913 -1.08292 -0.17850
C -3.40949 -0.20112 -0.89096
C -2.75118 -0.97018 -2.03859
C -1.66591 -1.96113 -1.54120
C -0.29098 -1.41047 -1.96079
C 0.91508 -1.96006 -1.18807
C 0.83477 -1.95841 0.33830
C 0.76492 -0.59536 1.02902
Cl 1.24328 0.81433 0.06205
O -0.67700 -0.35087 1.23793
S -1.17545 -0.56502 2.72279
O -1.92344 0.57507 3.09639
O -1.71971 -1.85949 2.92246
O 0.26873 -0.57059 3.44853
C 1.29738 -0.45165 2.46716
C 2.58155 -1.14595 2.89187
F 2.46633 -2.51063 2.80941
F 2.73310 -0.87868 4.21611
C 3.78206 -0.70773 2.07344
C 4.69686 0.34913 2.74764
Si 5.12022 1.80993 1.61622
C 5.39388 1.26602 -0.15878
C 6.69485 2.57703 2.31681
C 3.79828 3.14552 1.77129
C 3.82387 4.26755 0.93639
C 2.86552 5.26406 1.08418
C 1.87555 5.18246 2.05694
C 1.82521 4.06433 2.88135
C 2.78687 3.06567 2.73260
H -4.69321 -0.68499 0.80452
H -4.04727 -2.08773 -0.04056
H -5.33521 -1.15916 -0.80445
H -2.68589 0.20026 -0.18379
H -3.94886 0.65868 -1.29442
H -3.53581 -1.47040 -2.59778
H -2.32531 -0.24141 -2.72997
H -1.78962 -2.06142 -0.46463
H -1.83839 -2.91856 -2.02172
H -0.15520 -1.72164 -2.99604
H -0.34730 -0.32459 -1.97436
H 1.05747 -2.99784 -1.49203
H 1.80826 -1.42581 -1.51746
H -0.05196 -2.50460 0.64875
H 1.67753 -2.53540 0.71137
H 1.58041 0.60388 2.53404
H 4.38674 -1.58030 1.84521
H 3.44528 -0.32024 1.11334



I am sorry I didn't get back to you sooner in game time. I was in perez park with a bunch of fast hunters and we were in one mess after another. It was fun but very wild, I am game for a group as long as it mission is noble and its methods are organazed... training to fight as a group would be good.



If anyone is looking for an RPing charrie on Justice /Friend Miss Tigress I would love to play! I roll with the majority. if they are not playin in charrie then nither am I, But i love when they do RP so just give me a tell!



I am Rhodan the Destroyer. My only goal is to bring pain to those who would harm the innocent of Paragon City. if there are others who share my feelings I would be honored to hunt by their side. I am not always around as paragon city is not my only territory to protect. But when I am here in the dimesion of Justice I am always willing to lend my tank like ability to endure damage and dish it out to any hero who could benefit from it. I have trained myself to what I have heard others refer to as twelth level. And am quickly on my way to acquiring more training and more levels. Aparently levels are important here in Paragon City. Contact me.